# Contents
/*
# Na2Al4Si3Sn4S9O48 | the Materials Project | PBE | optimized geometry
data_Na2Al4Si3Sn4S9O48
_symmetry_space_group_name_H-M 'P 1'
_symmetry_Int_Tables_number 1
_cell_length_a 8.620
_cell_length_b 14.824
_cell_length_c 22.463
_cell_angle_alpha 90.33
_cell_angle_beta 90.30
_cell_angle_gamma 90.05
loop_
_symmetry_equiv_pos_as_xyz
'x,y,z'
loop_
_atom_site_label
_atom_site_type_symbol
_atom_site_fract_x
_atom_site_fract_y
_atom_site_fract_z
Na1 Na 0.000 0.000 0.000
Na2 Na 0.002 0.002 0.509
Na3 Na 0.015 0.666 0.340
Na4 Na 0.497 0.167 0.836
Na5 Na 0.506 0.491 0.504
Na6 Na 0.508 0.499 0.007
Al1 Al 0.003 0.002 0.858
Al2 Al 0.003 0.673 0.492
Al3 Al 0.015 0.666 0.198
Al4 Al 0.476 0.172 0.693
Al5 Al 0.499 0.503 0.363
Al6 Al 0.507 0.174 0.990
Al7 Al 0.509 0.505 0.856
Al8 Al 0.511 0.837 0.532
Al9 Al 0.522 0.840 0.023
Al10 Al 0.997 0.334 0.030
Al11 Al 0.997 0.337 0.530
Al12 Al 0.999 0.009 0.361
Si1 Si 0.157 0.140 0.761
Si2 Si 0.344 0.315 0.592
Si3 Si 0.356 0.642 0.260
Si4 Si 0.649 0.644 0.759
Si5 Si 0.654 0.316 0.086
Si6 Si 0.715 0.344 0.426
Si7 Si 0.800 0.846 0.925
Si8 Si 0.857 0.816 0.585
Si9 Si 0.862 0.147 0.261
Sn1 Sn 0.003 0.003 0.654
Sn2 Sn 0.004 0.008 0.156
Sn3 Sn 0.008 0.330 0.819
Sn4 Sn 0.503 0.831 0.321
Sn5 Sn 0.505 0.504 0.652
Sn6 Sn 0.507 0.501 0.156
Sn7 Sn 0.511 0.182 0.486
Sn8 Sn 0.518 0.833 0.819
Sn9 Sn 0.522 0.175 0.196
Sn10 Sn 0.989 0.674 0.695
Sn11 Sn 0.995 0.333 0.322
Sn12 Sn 0.999 0.674 0.984
S1 S 0.142 0.525 0.089
S2 S 0.148 0.186 0.425
S3 S 0.150 0.487 0.426
S4 S 0.151 0.860 0.761
S5 S 0.159 0.815 0.092
S6 S 0.210 0.838 0.426
S7 S 0.217 0.505 0.760
S8 S 0.218 0.172 0.086
S9 S 0.291 0.674 0.586
S10 S 0.293 0.004 0.260
S11 S 0.299 0.337 0.927
S12 S 0.357 0.360 0.261
S13 S 0.362 0.984 0.928
S14 S 0.366 0.689 0.926
S15 S 0.368 0.024 0.588
S16 S 0.642 0.021 0.086
S17 S 0.645 0.356 0.760
S18 S 0.652 0.979 0.425
S19 S 0.654 0.691 0.427
S20 S 0.713 0.009 0.758
S21 S 0.716 0.675 0.092
S22 S 0.791 0.173 0.592
S23 S 0.799 0.508 0.258
S24 S 0.856 0.191 0.927
S25 S 0.857 0.477 0.924
S26 S 0.865 0.856 0.259
S27 S 0.868 0.525 0.586
O1 O 0.071 0.568 0.142
O2 O 0.072 0.095 0.417
O3 O 0.074 0.436 0.079
O4 O 0.075 0.106 0.699
O5 O 0.075 0.229 0.477
O6 O 0.075 0.901 0.812
O7 O 0.077 0.578 0.435
O8 O 0.080 0.242 0.764
O9 O 0.080 0.780 0.038
O10 O 0.081 0.452 0.369
O11 O 0.084 0.908 0.098
O12 O 0.089 0.767 0.755
O13 O 0.110 0.428 0.767
O14 O 0.112 0.920 0.417
O15 O 0.114 0.755 0.432
O16 O 0.116 0.081 0.819
O17 O 0.118 0.087 0.089
O18 O 0.121 0.252 0.076
O19 O 0.123 0.428 0.477
O20 O 0.124 0.583 0.035
O21 O 0.124 0.760 0.145
O22 O 0.130 0.589 0.753
O23 O 0.132 0.910 0.704
O24 O 0.135 0.242 0.370
O25 O 0.163 0.325 0.576
O26 O 0.169 0.655 0.249
O27 O 0.188 0.355 0.268
O28 O 0.189 0.656 0.535
O29 O 0.193 0.014 0.312
O30 O 0.193 0.994 0.921
O31 O 0.196 0.675 0.933
O32 O 0.197 0.015 0.594
O33 O 0.197 0.353 0.979
O34 O 0.206 0.981 0.203
O35 O 0.207 0.687 0.643
O36 O 0.208 0.321 0.871
O37 O 0.300 0.821 0.370
O38 O 0.302 0.184 0.144
O39 O 0.305 0.483 0.705
O40 O 0.313 0.517 0.094
O41 O 0.313 0.853 0.478
O42 O 0.315 0.170 0.431
O43 O 0.316 0.514 0.814
O44 O 0.320 0.154 0.035
O45 O 0.320 0.496 0.419
O46 O 0.321 0.856 0.769
O47 O 0.325 0.825 0.082
O48 O 0.344 0.150 0.753
O49 O 0.375 0.409 0.204
O50 O 0.378 0.745 0.872
O51 O 0.380 0.089 0.251
O52 O 0.385 0.756 0.576
O53 O 0.388 0.255 0.649
O54 O 0.389 0.080 0.534
O55 O 0.390 0.924 0.980
O56 O 0.393 0.593 0.589
O57 O 0.395 0.254 0.933
O58 O 0.396 0.580 0.317
O59 O 0.398 0.419 0.919
O60 O 0.400 0.927 0.266
O61 O 0.421 0.268 0.255
O62 O 0.430 0.417 0.596
O63 O 0.432 0.744 0.264
O64 O 0.432 0.949 0.872
O65 O 0.434 0.734 0.980
O66 O 0.434 0.934 0.579
O67 O 0.436 0.076 0.937
O68 O 0.436 0.283 0.532
O69 O 0.436 0.402 0.312
O70 O 0.436 0.608 0.197
O71 O 0.439 0.064 0.643
O72 O 0.439 0.598 0.919
O73 O 0.562 0.742 0.759
O74 O 0.566 0.268 0.031
O75 O 0.569 0.417 0.092
O76 O 0.569 0.932 0.079
O77 O 0.570 0.398 0.813
O78 O 0.572 0.606 0.697
O79 O 0.576 0.737 0.477
O80 O 0.578 0.057 0.143
O81 O 0.578 0.604 0.418
*/
# Work order
Duplicate the part of the calculation results earlier on that starts with the line with "_cell_angle_beta 90.30" and stops after the one with "0.112 0.920".
# Written answer
_cell_angle_beta 90.30
_cell_angle_gamma 90.05
loop_
_symmetry_equiv_pos_as_xyz
'x,y,z'
loop_
_atom_site_label
_atom_site_type_symbol
_atom_site_fract_x
_atom_site_fract_y
_atom_site_fract_z
Na1 Na 0.000 0.000 0.000
Na2 Na 0.002 0.002 0.509
Na3 Na 0.015 0.666 0.340
Na4 Na 0.497 0.167 0.836
Na5 Na 0.506 0.491 0.504
Na6 Na 0.508 0.499 0.007
Al1 Al 0.003 0.002 0.858
Al2 Al 0.003 0.673 0.492
Al3 Al 0.015 0.666 0.198
Al4 Al 0.476 0.172 0.693
Al5 Al 0.499 0.503 0.363
Al6 Al 0.507 0.174 0.990
Al7 Al 0.509 0.505 0.856
Al8 Al 0.511 0.837 0.532
Al9 Al 0.522 0.840 0.023
Al10 Al 0.997 0.334 0.030
Al11 Al 0.997 0.337 0.530
Al12 Al 0.999 0.009 0.361
Si1 Si 0.157 0.140 0.761
Si2 Si 0.344 0.315 0.592
Si3 Si 0.356 0.642 0.260
Si4 Si 0.649 0.644 0.759
Si5 Si 0.654 0.316 0.086
Si6 Si 0.715 0.344 0.426
Si7 Si 0.800 0.846 0.925
Si8 Si 0.857 0.816 0.585
Si9 Si 0.862 0.147 0.261
Sn1 Sn 0.003 0.003 0.654
Sn2 Sn 0.004 0.008 0.156
Sn3 Sn 0.008 0.330 0.819
Sn4 Sn 0.503 0.831 0.321
Sn5 Sn 0.505 0.504 0.652
Sn6 Sn 0.507 0.501 0.156
Sn7 Sn 0.511 0.182 0.486
Sn8 Sn 0.518 0.833 0.819
Sn9 Sn 0.522 0.175 0.196
Sn10 Sn 0.989 0.674 0.695
Sn11 Sn 0.995 0.333 0.322
Sn12 Sn 0.999 0.674 0.984
S1 S 0.142 0.525 0.089
S2 S 0.148 0.186 0.425
S3 S 0.150 0.487 0.426
S4 S 0.151 0.860 0.761
S5 S 0.159 0.815 0.092
S6 S 0.210 0.838 0.426
S7 S 0.217 0.505 0.760
S8 S 0.218 0.172 0.086
S9 S 0.291 0.674 0.586
S10 S 0.293 0.004 0.260
S11 S 0.299 0.337 0.927
S12 S 0.357 0.360 0.261
S13 S 0.362 0.984 0.928
S14 S 0.366 0.689 0.926
S15 S 0.368 0.024 0.588
S16 S 0.642 0.021 0.086
S17 S 0.645 0.356 0.760
S18 S 0.652 0.979 0.425
S19 S 0.654 0.691 0.427
S20 S 0.713 0.009 0.758
S21 S 0.716 0.675 0.092
S22 S 0.791 0.173 0.592
S23 S 0.799 0.508 0.258
S24 S 0.856 0.191 0.927
S25 S 0.857 0.477 0.924
S26 S 0.865 0.856 0.259
S27 S 0.868 0.525 0.586
O1 O 0.071 0.568 0.142
O2 O 0.072 0.095 0.417
O3 O 0.074 0.436 0.079
O4 O 0.075 0.106 0.699
O5 O 0.075 0.229 0.477
O6 O 0.075 0.901 0.812
O7 O 0.077 0.578 0.435
O8 O 0.080 0.242 0.764
O9 O 0.080 0.780 0.038
O10 O 0.081 0.452 0.369
O11 O 0.084 0.908 0.098
O12 O 0.089 0.767 0.755
O13 O 0.110 0.428 0.767
O14 O 0.112 0.920 0.417